'''
# 1
The following is a DFT calculation (wB97M-V/def2-TZVPD) of C29H51N6O6PRuS3Si2 as an isolated structure.

Geometry as XYZ:
```
99
Properties=species:S:1:pos:R:3:forces:R:3
Ru -0.5612 1.3354 0.5662 0.8 1.4 -1.0
C -0.0680 1.4892 6.1724 0.6 0.2 0.7
N -0.6866 1.2239 4.9197 -0.4 0.1 -1.2
C -1.5861 0.2368 4.6029 0.3 0.3 0.3
C -1.8124 0.3287 3.2627 -0.3 0.3 0.0
N -1.0803 1.3439 2.7449 0.8 0.4 0.6
C -0.4052 1.9161 3.7613 -0.1 -1.8 -0.5
P 1.1532 2.8541 3.5752 -1.1 1.1 -1.4
C 0.4831 3.9188 2.2120 0.6 0.2 0.4
N 0.2194 3.6051 0.9537 -0.7 -1.0 0.5
C -0.2788 4.7245 0.3681 0.0 0.2 0.0
C -0.2945 5.7435 1.2750 0.0 0.0 -0.3
N 0.1993 5.2284 2.4374 -0.1 -0.2 -0.1
C 0.4715 5.9619 3.6389 0.3 0.3 0.4
C 2.1255 1.7820 2.4980 -0.2 -1.8 -0.3
N 1.7115 1.1380 1.3873 -0.5 0.4 1.0
C 2.5447 0.0821 1.2214 0.0 0.1 -0.3
C 3.4653 0.0360 2.2248 0.1 0.4 0.3
N 3.1916 1.0966 3.0484 -0.7 0.0 -1.2
C 3.8691 1.4875 4.2365 0.3 0.4 0.9
H -0.4382 0.7966 6.9244 0.0 0.0 0.0
H -0.2662 2.5148 6.4972 0.0 -0.1 0.0
H 1.0224 1.3776 6.0805 -0.3 -0.1 0.2
H -1.9574 -0.4490 5.3353 -0.1 -0.1 0.2
H -2.4659 -0.2501 2.6337 0.1 -0.1 0.0
H -0.6260 4.7200 -0.6459 -0.2 -0.1 -0.1
H -0.6501 6.7515 1.2021 0.0 0.2 0.0
H -0.2728 6.7465 3.7764 0.0 -0.1 0.0
H 1.4626 6.4310 3.5917 -0.1 -0.1 0.0
H 0.4571 5.2819 4.4929 -0.1 0.2 -0.1
H 2.4278 -0.5935 0.3964 -0.1 -0.1 -0.1
H 4.2689 -0.6509 2.4158 0.1 0.0 0.0
H 4.6742 0.7883 4.4554 0.0 0.0 0.0
H 3.1636 1.5104 5.0811 0.4 -0.1 -0.1
H 4.2780 2.4964 4.1244 0.1 -0.2 0.1
O -3.0722 4.6912 -0.9140 0.2 0.3 -0.3
S -4.2237 3.8544 -0.7132 -1.5 1.1 1.0
O -4.4369 2.8101 -1.7133 0.0 0.0 -0.2
O -5.4436 4.5564 -0.3947 -0.2 0.1 0.1
S -3.7653 2.7525 1.0539 0.1 0.1 -0.4
C -2.7609 3.7836 -3.6877 -0.2 -0.4 0.4
Si -2.6891 2.0858 -2.8072 1.1 -0.8 -0.6
C -3.9384 0.7232 -3.3380 0.2 0.7 0.2
C -1.1516 1.3765 -3.7406 -0.5 0.2 0.1
C -2.0057 1.9578 -1.0352 0.1 -0.2 -0.3
C -2.4977 2.1144 0.1138 1.5 -1.2 1.3
H -2.7761 3.6566 -4.7677 0.0 -0.2 -0.2
H -1.8829 4.3700 -3.4347 0.2 0.0 0.1
H -3.6281 4.3530 -3.3846 -0.1 0.2 -0.1
H -3.8521 0.5350 -4.4057 0.1 0.0 -0.2
H -4.9624 0.9984 -3.1154 -0.2 0.0 0.0
H -3.7112 -0.2041 -2.8190 0.1 -0.1 0.1
H -1.3408 1.3713 -4.8091 0.0 0.0 -0.4
H -0.9752 0.3524 -3.4365 0.0 -0.3 0.1
H -0.2354 1.9293 -3.5693 0.2 0.2 0.1
C 2.4057 -5.1586 0.4784 -0.3 0.2 0.0
C 1.1466 -4.4020 0.9163 0.1 -0.3 0.3
C 0.1449 -5.3470 1.5888 0.2 0.3 -0.2
C 1.5385 -3.2889 1.8815 -0.2 -0.2 -0.1
O 0.5157 -3.9029 -0.2436 0.0 -0.5 0.0
Si 0.4781 -2.4541 -0.9788 -1.2 1.6 0.9
S -0.5643 -1.1098 0.2841 -0.1 -0.3 0.1
O 2.0208 -2.0393 -1.2977 0.7 -0.2 0.2
C 2.5939 -1.2808 -2.3512 0.3 0.2 -0.4
C 1.8240 0.0247 -2.5219 0.1 -0.3 0.2
C 2.5331 -2.1132 -3.6355 0.0 0.1 0.3
C 4.0587 -1.0153 -1.9813 -0.4 -0.1 0.0
O -0.2659 -2.6778 -2.4011 0.3 0.0 -0.6
C -1.4895 -3.2922 -2.7511 -0.5 -0.3 -0.4
C -1.8872 -2.7333 -4.1223 0.2 -0.1 0.3
C -1.2557 -4.8039 -2.8364 0.0 0.3 0.0
C -2.5711 -2.9731 -1.7265 0.2 0.1 -0.2
H 2.8869 -5.6174 1.3385 0.1 -0.1 0.1
H 3.0911 -4.4547 0.0153 0.1 0.1 -0.1
H 2.1548 -5.9250 -0.2503 -0.1 -0.1 -0.1
H 0.6035 -5.8370 2.4434 0.0 -0.1 0.2
H -0.1926 -6.1015 0.8830 0.0 -0.1 -0.1
H -0.7173 -4.7755 1.9197 -0.1 0.1 0.1
H 1.9548 -3.7145 2.7913 0.1 -0.1 0.1
H 0.6702 -2.6823 2.1226 0.0 0.1 0.1
H 2.2773 -2.6486 1.4112 0.2 0.1 0.0
H 0.8471 -0.2087 -2.9320 -0.1 0.2 0.0
H 2.3470 0.7038 -3.1913 0.0 0.1 -0.1
H 1.6694 0.5168 -1.5550 0.1 0.0 -0.1
H 1.4970 -2.3695 -3.8306 -0.1 0.0 -0.2
H 3.1017 -3.0316 -3.5016 0.1 -0.1 0.0
H 2.9408 -1.5524 -4.4729 0.1 0.1 -0.1
H 4.1216 -0.2956 -1.1706 0.1 0.1 0.1
H 4.5886 -0.6190 -2.8439 0.1 0.1 -0.1
H 4.5396 -1.9407 -1.6715 0.0 -0.1 0.0
H -1.1416 -3.0024 -4.8692 0.1 0.0 -0.1
H -1.9611 -1.6500 -4.0731 0.0 0.1 0.0
H -2.8511 -3.1337 -4.4255 -0.1 -0.1 -0.1
H -0.5180 -5.0220 -3.6051 0.1 0.0 -0.1
H -2.1830 -5.3170 -3.0729 -0.2 -0.1 -0.1
H -0.8705 -5.1570 -1.8848 0.0 -0.1 0.1
H -2.6557 -1.8959 -1.6115 -0.1 0.1 0.1
H -2.2929 -3.3946 -0.7659 -0.1 0.0 0.2
H -3.5274 -3.3770 -2.0463 -0.2 -0.1 -0.1
```
Forces are in eV/Å.
'''
The reader should count the lines earlier on that contain the word "Properties" and give the number alone.
1